Input >
********
The following is a GGA-PBE calculation of a geometry-optimized Li9Nd6Sb3TeO24 structure, from the Materials Project database.

a b c (Å): 11.102 11.103 11.137
angles (deg): 109.92 108.65 109.53
Space group P1 (No. 1)
Unique sites:
Li 0.000 0.000 0.000 x1
Li 0.006 0.924 0.581 x1
Li 0.047 0.488 0.632 x1
Li 0.117 0.166 0.786 x1
Li 0.125 0.506 0.886 x1
Li 0.287 0.163 0.730 x1
Li 0.350 0.223 0.329 x1
Li 0.369 0.614 0.493 x1
Li 0.436 0.258 0.546 x1
Li 0.499 0.245 0.743 x1
Li 0.502 0.748 0.248 x1
Li 0.567 0.114 0.833 x1
Li 0.627 0.124 0.241 x1
Li 0.651 0.978 0.876 x1
Li 0.717 0.440 0.880 x1
Li 0.856 0.734 0.347 x1
Li 0.901 0.656 0.017 x1
Li 0.972 0.584 0.462 x1
Nd 0.004 0.757 0.769 x1
Nd 0.113 0.983 0.356 x1
Nd 0.129 0.615 0.240 x1
Nd 0.371 0.121 0.008 x1
Nd 0.382 0.757 0.887 x1
Nd 0.494 0.982 0.489 x1
Nd 0.509 0.506 0.013 x1
Nd 0.617 0.499 0.367 x1
Nd 0.629 0.636 0.751 x1
Nd 0.863 0.109 0.483 x1
Nd 0.889 0.244 0.876 x1
Nd 0.991 0.245 0.238 x1
Sb 0.252 0.869 0.627 x1
Sb 0.254 0.376 0.126 x1
Sb 0.257 0.875 0.130 x1
Sb 0.744 0.868 0.618 x1
Sb 0.750 0.869 0.122 x1
Sb 0.752 0.373 0.120 x1
Te 0.246 0.368 0.620 x1
Te 0.749 0.370 0.616 x1
O 0.052 0.199 0.036 x1
O 0.056 0.335 0.496 x1
O 0.070 0.806 0.446 x1
O 0.088 0.786 0.162 x1
O 0.132 0.178 0.609 x1
O 0.135 0.452 0.030 x1
O 0.148 0.700 0.654 x1
O 0.162 0.957 0.015 x1
O 0.167 0.701 0.927 x1
O 0.182 0.986 0.748 x1
O 0.220 0.457 0.293 x1
O 0.245 0.248 0.444 x1
O 0.250 0.488 0.797 x1
O 0.292 0.291 0.954 x1
O 0.319 0.773 0.497 x1
O 0.337 0.050 0.333 x1
O 0.346 0.791 0.242 x1
O 0.355 0.052 0.614 x1
O 0.369 0.556 0.643 x1
O 0.370 0.293 0.209 x1
O 0.425 0.966 0.098 x1
O 0.427 0.950 0.821 x1
O 0.430 0.377 0.738 x1
O 0.454 0.549 0.209 x1
O 0.550 0.748 0.093 x1
O 0.567 0.297 0.934 x1
O 0.576 0.671 0.543 x1
O 0.578 0.390 0.523 x1
O 0.625 0.277 0.190 x1
O 0.629 0.834 0.922 x1
O 0.643 0.261 0.691 x1
O 0.656 0.897 0.449 x1
O 0.669 0.997 0.716 x1
O 0.676 0.181 0.451 x1
O 0.718 0.540 0.210 x1
O 0.727 0.666 0.001 x1
O 0.769 0.194 0.014 x1
O 0.773 0.067 0.237 x1
O 0.815 0.556 0.792 x1
O 0.835 0.755 0.529 x1
O 0.840 0.846 0.794 x1
O 0.857 0.495 0.557 x1
O 0.868 0.897 0.322 x1
O 0.872 0.467 0.037 x1
O 0.918 0.352 0.713 x1
O 0.920 0.061 0.689 x1
O 0.947 0.452 0.286 x1
O 0.950 0.991 0.151 x1

Calculated values
* calculated density: 5.7 g cm⁻³
* total moment: 0.0 μB per formula unit

***

The following is a GGA-PBE calculation of a geometry-optimized H3PbCI3NF3 structure, from the Materials Project database.

a b c (Å): 6.467 6.477 6.559
angles (deg): 90.00 91.15 90.00
Space group Pm (No. 6)
Unique sites:
H 0.000 0.000 0.000 x1
H 0.961 0.134 0.781 x2
Pb 0.704 0.500 0.290 x1
C 0.257 0.000 0.802 x1
I 0.228 0.500 0.318 x1
I 0.771 0.000 0.306 x1
I 0.787 0.500 0.785 x1
N 0.032 0.000 0.842 x1
F 0.285 0.000 0.600 x1
F 0.342 0.170 0.883 x2

Calculated values
* calculated density: 4.1 g cm⁻³
* total moment: 0.0 μB per formula unit
* maximum piezoelectric response: 1.8 C/m²

***

The following is a GGA-PBE calculation of a geometry-optimized YTi2S4 structure, from the Materials Project database.

a b c (Å): 7.449 7.449 11.150
angles (deg): 90.00 90.00 90.00
Space group I4_1/amd (No. 141, origin choice 2)
Unique sites:
Y 0.000 0.250 0.375 x4
Ti 0.000 0.000 0.000 x8
S 0.000 0.019 0.771 x16

Calculated values
* calculated density: 3.4 g cm⁻³
* offset from the most stable computed form: 182 meV per atom
* total moment: 2.9 μB per formula unit

***

The following is a GGA-PBE calculation of a geometry-optimized Ba3Y2F12 structure, from the Materials Project database.

a b c (Å): 10.768 10.423 15.077
angles (deg): 90.00 134.18 90.00
Space group P2_1/c (No. 14)
Unique sites:
Ba 0.146 0.115 0.172 x4
Ba 0.172 0.510 0.979 x4
Ba 0.270 0.716 0.298 x4
Y 0.239 0.147 0.926 x4
Y 0.460 0.658 0.658 x4
F 0.062 0.202 0.304 x4
F 0.068 0.647 0.066 x4
F 0.098 0.069 0.969 x4
F 0.140 0.019 0.778 x4
F 0.218 0.552 0.829 x4
F 0.227 0.713 0.465 x4
F 0.275 0.118 0.680 x4
F 0.295 0.601 0.683 x4
F 0.387 0.207 0.571 x4
F 0.401 0.232 0.898 x4
********
Request >
Now copy the data further up verbatim.
Done >
The following is a GGA-PBE calculation of a geometry-optimized Li9Nd6Sb3TeO24 structure, from the Materials Project database.

a b c (Å): 11.102 11.103 11.137
angles (deg): 109.92 108.65 109.53
Space group P1 (No. 1)
Unique sites:
Li 0.000 0.000 0.000 x1
Li 0.006 0.924 0.581 x1
Li 0.047 0.488 0.632 x1
Li 0.117 0.166 0.786 x1
Li 0.125 0.506 0.886 x1
Li 0.287 0.163 0.730 x1
Li 0.350 0.223 0.329 x1
Li 0.369 0.614 0.493 x1
Li 0.436 0.258 0.546 x1
Li 0.499 0.245 0.743 x1
Li 0.502 0.748 0.248 x1
Li 0.567 0.114 0.833 x1
Li 0.627 0.124 0.241 x1
Li 0.651 0.978 0.876 x1
Li 0.717 0.440 0.880 x1
Li 0.856 0.734 0.347 x1
Li 0.901 0.656 0.017 x1
Li 0.972 0.584 0.462 x1
Nd 0.004 0.757 0.769 x1
Nd 0.113 0.983 0.356 x1
Nd 0.129 0.615 0.240 x1
Nd 0.371 0.121 0.008 x1
Nd 0.382 0.757 0.887 x1
Nd 0.494 0.982 0.489 x1
Nd 0.509 0.506 0.013 x1
Nd 0.617 0.499 0.367 x1
Nd 0.629 0.636 0.751 x1
Nd 0.863 0.109 0.483 x1
Nd 0.889 0.244 0.876 x1
Nd 0.991 0.245 0.238 x1
Sb 0.252 0.869 0.627 x1
Sb 0.254 0.376 0.126 x1
Sb 0.257 0.875 0.130 x1
Sb 0.744 0.868 0.618 x1
Sb 0.750 0.869 0.122 x1
Sb 0.752 0.373 0.120 x1
Te 0.246 0.368 0.620 x1
Te 0.749 0.370 0.616 x1
O 0.052 0.199 0.036 x1
O 0.056 0.335 0.496 x1
O 0.070 0.806 0.446 x1
O 0.088 0.786 0.162 x1
O 0.132 0.178 0.609 x1
O 0.135 0.452 0.030 x1
O 0.148 0.700 0.654 x1
O 0.162 0.957 0.015 x1
O 0.167 0.701 0.927 x1
O 0.182 0.986 0.748 x1
O 0.220 0.457 0.293 x1
O 0.245 0.248 0.444 x1
O 0.250 0.488 0.797 x1
O 0.292 0.291 0.954 x1
O 0.319 0.773 0.497 x1
O 0.337 0.050 0.333 x1
O 0.346 0.791 0.242 x1
O 0.355 0.052 0.614 x1
O 0.369 0.556 0.643 x1
O 0.370 0.293 0.209 x1
O 0.425 0.966 0.098 x1
O 0.427 0.950 0.821 x1
O 0.430 0.377 0.738 x1
O 0.454 0.549 0.209 x1
O 0.550 0.748 0.093 x1
O 0.567 0.297 0.934 x1
O 0.576 0.671 0.543 x1
O 0.578 0.390 0.523 x1
O 0.625 0.277 0.190 x1
O 0.629 0.834 0.922 x1
O 0.643 0.261 0.691 x1
O 0.656 0.897 0.449 x1
O 0.669 0.997 0.716 x1
O 0.676 0.181 0.451 x1
O 0.718 0.540 0.210 x1
O 0.727 0.666 0.001 x1
O 0.769 0.194 0.014 x1
O 0.773 0.067 0.237 x1
O 0.815 0.556 0.792 x1
O 0.835 0.755 0.529 x1
O 0.840 0.846 0.794 x1
O 0.857 0.495 0.557 x1
O 0.868 0.897 0.322 x1
O 0.872 0.467 0.037 x1
O 0.918 0.352 0.713 x1
O 0.920 0.061 0.689 x1
O 0.947 0.452 0.286 x1
O 0.950 0.991 0.151 x1

Calculated values
* calculated density: 5.7 g cm⁻³
* total moment: 0.0 μB per formula unit

***

The following is a GGA-PBE calculation of a geometry-optimized H3PbCI3NF3 structure, from the Materials Project database.

a b c (Å): 6.467 6.477 6.559
angles (deg): 90.00 91.15 90.00
Space group Pm (No. 6)
Unique sites:
H 0.000 0.000 0.000 x1
H 0.961 0.134 0.781 x2
Pb 0.704 0.500 0.290 x1
C 0.257 0.000 0.802 x1
I 0.228 0.500 0.318 x1
I 0.771 0.000 0.306 x1
I 0.787 0.500 0.785 x1
N 0.032 0.000 0.842 x1
F 0.285 0.000 0.600 x1
F 0.342 0.170 0.883 x2

Calculated values
* calculated density: 4.1 g cm⁻³
* total moment: 0.0 μB per formula unit
* maximum piezoelectric response: 1.8 C/m²

***

The following is a GGA-PBE calculation of a geometry-optimized YTi2S4 structure, from the Materials Project database.

a b c (Å): 7.449 7.449 11.150
angles (deg): 90.00 90.00 90.00
Space group I4_1/amd (No. 141, origin choice 2)
Unique sites:
Y 0.000 0.250 0.375 x4
Ti 0.000 0.000 0.000 x8
S 0.000 0.019 0.771 x16

Calculated values
* calculated density: 3.4 g cm⁻³
* offset from the most stable computed form: 182 meV per atom
* total moment: 2.9 μB per formula unit

***

The following is a GGA-PBE calculation of a geometry-optimized Ba3Y2F12 structure, from the Materials Project database.

a b c (Å): 10.768 10.423 15.077
angles (deg): 90.00 134.18 90.00
Space group P2_1/c (No. 14)
Unique sites:
Ba 0.146 0.115 0.172 x4
Ba 0.172 0.510 0.979 x4
Ba 0.270 0.716 0.298 x4
Y 0.239 0.147 0.926 x4
Y 0.460 0.658 0.658 x4
F 0.062 0.202 0.304 x4
F 0.068 0.647 0.066 x4
F 0.098 0.069 0.969 x4
F 0.140 0.019 0.778 x4
F 0.218 0.552 0.829 x4
F 0.227 0.713 0.465 x4
F 0.275 0.118 0.680 x4
F 0.295 0.601 0.683 x4
F 0.387 0.207 0.571 x4
F 0.401 0.232 0.898 x4